[Data]
'''
No. 1
K2ReF8: relaxed, PBE.

a = 6.0023 Å, b = 8.8703 Å, c = 12.7572 Å
α = 90.00°, β = 90.00°, γ = 90.00°
With the nearest neighbours (Å) after each atom.
Positions (direct):
K1 0.2500 0.0487 0.2097  11 F 2.81-3.10
K2 0.7500 0.9513 0.7903  11 F 2.81-3.10
K3 0.2500 0.5487 0.2903  11 F 2.81-3.10
K4 0.7500 0.4513 0.7097  11 F 2.81-3.10
K5 0.2500 0.1696 0.5596  8 F 2.72-2.93
K6 0.7500 0.8304 0.4404  8 F 2.72-2.93
K7 0.2500 0.6696 0.9404  8 F 2.72-2.93
K8 0.7500 0.3304 0.0596  8 F 2.72-2.93
Re1 0.2500 0.2184 0.8769  8 F 1.95-1.99
Re2 0.7500 0.7816 0.1231  8 F 1.95-1.99
Re3 0.2500 0.7184 0.6231  8 F 1.95-1.99
Re4 0.7500 0.2816 0.3769  8 F 1.95-1.99
F1 0.2500 0.7692 0.4717  1 Re 1.98
F2 0.7500 0.2308 0.5283  1 Re 1.98
F3 0.2500 0.2692 0.0283  1 Re 1.98
F4 0.7500 0.7308 0.9717  1 Re 1.98
F5 0.2500 0.0041 0.8403  1 Re 1.96
F6 0.7500 0.9959 0.1597  1 Re 1.96
F7 0.2500 0.5041 0.6597  1 Re 1.96
F8 0.7500 0.4959 0.3403  1 Re 1.96
F9 0.0241 0.8648 0.0657  1 Re 1.95
F10 0.5241 0.1352 0.9343  1 Re 1.95
F11 0.4759 0.3648 0.4343  1 Re 1.95
F12 0.9759 0.6352 0.5657  1 Re 1.95
F13 0.5512 0.1031 0.3853  1 Re 1.98
F14 0.0512 0.8969 0.6147  1 Re 1.98
F15 0.9488 0.6031 0.1147  1 Re 1.98
F16 0.4488 0.3969 0.8853  1 Re 1.98
F17 0.4488 0.8969 0.6147  1 Re 1.98
F18 0.9488 0.1031 0.3853  1 Re 1.98
F19 0.0512 0.3969 0.8853  1 Re 1.98
F20 0.5512 0.6031 0.1147  1 Re 1.98
F21 0.5507 0.2906 0.2526  1 Re 1.99
F22 0.0507 0.7094 0.7474  1 Re 1.99
F23 0.9493 0.7906 0.2474  1 Re 1.99
F24 0.4493 0.2094 0.7526  1 Re 1.99
F25 0.4493 0.7094 0.7474  1 Re 1.99
F26 0.9493 0.2906 0.2526  1 Re 1.99
F27 0.0507 0.2094 0.7526  1 Re 1.99
F28 0.5507 0.7906 0.2474  1 Re 1.99
F29 0.0241 0.3648 0.4343  1 Re 1.95
F30 0.5241 0.6352 0.5657  1 Re 1.95
F31 0.4759 0.8648 0.0657  1 Re 1.95
F32 0.9759 0.1352 0.9343  1 Re 1.95

Its space group is No. 62. The calculation puts the formation energy at -2.785 eV per atom. As for the energy: -56.9 eV/f.u.

=====

No. 2
Sm6InFe13: relaxed, PBE.

a = 12.8725 Å, b = 12.8725 Å, c = 12.8725 Å
α = 143.80°, β = 143.80°, γ = 52.12°
With the nearest neighbours (Å) after each atom.
Positions (direct):
Sm1 0.6047 0.6047 0.0000  12 Fe 2.99-3.23
Sm2 0.1047 0.1047 0.0000  12 Fe 2.99-3.23
Sm3 0.3953 0.3953 0.0000  12 Fe 2.99-3.23
Sm4 0.8953 0.8953 0.0000  12 Fe 2.99-3.23
Sm5 0.4783 0.9783 0.8265  3 Fe 2.91-3.06
Sm6 0.1519 0.6519 0.1735  3 Fe 2.91-3.06
Sm7 0.9783 0.1519 0.5000  3 Fe 2.91-3.06
Sm8 0.6519 0.4783 0.5000  3 Fe 2.91-3.06
Sm9 0.5217 0.0217 0.1735  3 Fe 2.91-3.06
Sm10 0.8481 0.3481 0.8265  3 Fe 2.91-3.06
Sm11 0.0217 0.8481 0.5000  3 Fe 2.91-3.06
Sm12 0.3481 0.5217 0.5000  3 Fe 2.91-3.06
In1 0.2500 0.2500 0.0000  10 Sm 3.35-3.36
In2 0.7500 0.7500 0.0000  10 Sm 3.35-3.36
Fe1 0.5000 0.0000 0.5000  12 Fe 2.38-2.54
Fe2 0.0000 0.5000 0.5000  12 Fe 2.38-2.54
Fe3 0.5660 0.7097 0.2757  10 Fe 2.38-2.64
Fe4 0.4340 0.2903 0.7243  10 Fe 2.38-2.64
Fe5 0.0660 0.7903 0.8563  10 Fe 2.38-2.64
Fe6 0.9340 0.2097 0.1437  10 Fe 2.38-2.64
Fe7 0.2903 0.5660 0.8563  10 Fe 2.38-2.64
Fe8 0.7097 0.4340 0.1437  10 Fe 2.38-2.64
Fe9 0.2097 0.0660 0.2757  10 Fe 2.38-2.64
Fe10 0.7903 0.9340 0.7243  10 Fe 2.38-2.64
Fe11 0.6199 0.1199 0.8582  8 Fe 2.45-2.55
Fe12 0.2617 0.7617 0.1418  8 Fe 2.45-2.55
Fe13 0.1199 0.2617 0.5000  8 Fe 2.45-2.55
Fe14 0.7617 0.6199 0.5000  8 Fe 2.45-2.55
Fe15 0.3801 0.8801 0.1418  8 Fe 2.45-2.55
Fe16 0.7383 0.2383 0.8582  8 Fe 2.45-2.55
Fe17 0.8801 0.7383 0.5000  8 Fe 2.45-2.55
Fe18 0.2383 0.3801 0.5000  8 Fe 2.45-2.55
Fe19 0.7918 0.2918 0.2732  7 Fe 2.49-2.64
Fe20 0.0185 0.5185 0.7268  7 Fe 2.49-2.64
Fe21 0.2918 0.0185 0.5000  7 Fe 2.49-2.64
Fe22 0.5185 0.7918 0.5000  7 Fe 2.49-2.64
Fe23 0.2082 0.7082 0.7268  7 Fe 2.49-2.64
Fe24 0.9815 0.4815 0.2732  7 Fe 2.49-2.64
Fe25 0.7082 0.9815 0.5000  7 Fe 2.49-2.64
Fe26 0.4815 0.2082 0.5000  7 Fe 2.49-2.64

Its space group is No. 140. The calculation puts the formation energy at -0.069 eV per atom. As for the energy: -142.5 eV/f.u.

=====

No. 3
Zr12Si2Bi2P16PbO72: relaxed, PBE.
'''

[Job]
Work out how many lines further above have the word "Fe9" in them; a number is enough, please.

[Here it is]
1